Request =
Filter the block further below: keep the lines with the word "Tl".

Material =
HoTmTlSe: computed X-ray powder pattern (a wavelength of 1.5418 Å), based on a cell relaxed with GGA-PBE.
Peak positions follow from Bragg's law for the DFT cell and can differ from measured ones.

Structural model:
a b c (Å): 3.7935 3.7935 8.3892
angles (deg): 90.00 90.00 120.00
Positions (direct):
Ho (0.0000, 0.0000, 0.0000)
Tm (0.6667, 0.3333, 0.4336)
Tl (0.3333, 0.6667, 0.7149)
Se (0.3333, 0.6667, 0.2188)

Principal peaks in the range 2θ = 10–90°, in order of rising 2θ:
hkl 1 0 1, 29.19°, I 81
hkl 0 1 2, 34.68°, I 100
hkl 0 1 3, 42.45°, I 16
hkl 0 0 4, 43.13°, I 12
hkl 1 1 0, 47.96°, I 38
hkl 1 0 4, 51.71°, I 12
hkl 0 2 1, 57.14°, I 13
hkl 2 0 2, 60.53°, I 20
hkl 1 1 4, 66.46°, I 19
hkl 1 2 2, 80.70°, I 18

----------

Computed powder XRD pattern of Sc8Te3 for a wavelength of 1.5418 Å, from a PBE-relaxed structure.
Intensities are scaled so that the largest is 100.

Structure:
Cell lengths 14.6938, 14.6938, 22.5048 Å; angles 122.32, 122.32, 15.07 degrees
Fractional positions:
Sc 0.0082 0.0082 0.4129
Sc 0.0118 0.0118 0.9325
Sc 0.0614 0.0614 0.7850
Sc 0.1508 0.1508 0.6903
Sc 0.1674 0.1674 0.3478
Sc 0.2013 0.2013 0.9703
Sc 0.2392 0.2392 0.5424
Sc 0.2767 0.2767 0.8977
Sc 0.2873 0.2873 0.3664
Sc 0.3027 0.3027 0.7457
Sc 0.3287 0.3287 0.1554
Sc 0.3660 0.3660 0.5625
Sc 0.4081 0.4081 0.0893
Sc 0.4262 0.4262 0.9316
Sc 0.4378 0.4378 0.4467
Sc 0.4617 0.4617 0.7861
Sc 0.5383 0.5383 0.2139
Sc 0.5622 0.5622 0.5533
Sc 0.5738 0.5738 0.0684
Sc 0.5919 0.5919 0.9107
Sc 0.6340 0.6340 0.4375
Sc 0.6713 0.6713 0.8446
Sc 0.6973 0.6973 0.2543
Sc 0.7127 0.7127 0.6336
Sc 0.7233 0.7233 0.1023
Sc 0.7608 0.7608 0.4576
Sc 0.7987 0.7987 0.0297
Sc 0.8326 0.8326 0.6522
Sc 0.8492 0.8492 0.3097
Sc 0.9386 0.9386 0.2150
Sc 0.9882 0.9882 0.0675
Sc 0.9918 0.9918 0.5871
Te 0.0563 0.0563 0.3266
Te 0.1046 0.1046 0.1862
Te 0.1303 0.1303 0.5380
Te 0.1312 0.1312 0.0307
Te 0.2594 0.2594 0.2204
Te 0.4258 0.4258 0.3073
Te 0.5742 0.5742 0.6927
Te 0.7406 0.7406 0.7796
Te 0.8688 0.8688 0.9693
Te 0.8697 0.8697 0.4620
Te 0.8954 0.8954 0.8138
Te 0.9437 0.9437 0.6734

Largest 10 diffraction maxima, low angle first, 2θ from 10° to 80°:
2θ = 23.41°, intensity 35; 2θ = 24.64°, intensity 39; 2θ = 25.06°, intensity 42; 2θ = 33.47°, intensity 40; 2θ = 33.92°, intensity 50; 2θ = 34.59°, intensity 34; 2θ = 34.93°, intensity 47; 2θ = 35.33°, intensity 100; 2θ = 38.49°, intensity 38; 2θ = 47.16°, intensity 60

Done =
Tl (0.3333, 0.6667, 0.7149)